A matter of difference in soils
By Jo Cuttance

Soil organic matter and soil carbon are different from an agronomist perspective, Lincoln University professor and agronomist Derrick Moot said. It was very important people understood that because the terms were often used interchangeably.
/*
# 1
DFT (wB97M-V/def2-TZVPD) results for an isolated molecule of C9H11NO5.

```
26
Properties=species:S:1:pos:R:3:forces:R:3
C -3.228 1.136 0.547 -2.595 -1.705 -0.755
H 3.436 -2.731 1.352 -0.979 -0.112 -0.360
N 0.969 1.235 -0.429 -1.528 1.434 -0.643
C -2.550 -0.028 0.125 0.959 0.469 0.436
C -2.486 2.329 0.564 0.611 4.573 0.983
H -3.111 -0.920 0.189 -0.298 -0.974 -0.425
H 2.024 -1.483 1.351 0.836 -0.060 0.882
H -0.480 -3.197 -0.929 -1.626 2.066 -0.987
H -0.650 3.312 0.520 -0.197 -0.927 -0.785
C -1.238 -2.284 -1.066 0.229 -2.050 0.653
H 2.079 -2.367 -0.008 1.132 -0.895 0.421
C -1.173 2.369 0.245 -1.030 4.246 1.970
C 2.784 -2.041 0.796 -1.270 0.354 -0.749
C 3.332 0.024 -0.312 -2.533 -0.666 1.811
O 3.741 -1.159 0.197 -0.744 1.649 -0.715
C -1.203 -0.008 -0.192 -2.403 -3.259 -0.506
H -2.920 3.342 0.947 0.581 -2.185 -0.712
H 2.390 2.419 -0.471 -1.153 0.382 0.677
H -2.057 -2.544 -0.384 0.150 0.118 0.052
C -0.521 1.253 -0.094 6.871 -3.335 -1.577
H -4.349 1.189 0.476 1.302 -0.269 0.279
O 1.897 0.224 0.023 0.754 -2.406 0.937
O -0.527 -1.153 -0.627 0.160 2.073 0.293
O 4.061 0.815 -0.769 0.314 1.167 -1.015
H -1.736 -2.154 -2.067 1.026 -0.147 0.670
O 1.513 2.421 0.013 1.431 0.458 -0.835
```
Forces are in eV/Å.

Summary:
total charge: 0
M: 213.2 g mol⁻¹
energy above the lowest of the compared OMol25 structures with the same formula, charge and spin: 5.1258 eV
2S+1: 3
HOMO energy (spin up / spin down): -4.754 / -8.889 eV
calculated total energy: -21229.2999 eV
frontier orbital gap (spin up / spin down): 5.42 / 6.49 eV
⟨S²⟩: 2.033
largest force on an atom: 7.80 eV/Å

# 2
DFT (wB97M-V/def2-TZVPD) results for a structure of composition C28H36Cl2CrF6N3O8S3.

```
87
Properties=species:S:1:pos:R:3:forces:R:3
N -1.903 -0.765 3.561 0.107 -0.008 -0.041
C -1.841 -1.504 4.815 -0.022 -0.005 0.029
Cl 0.012 2.529 -0.466 -0.115 0.286 -0.009
O -1.844 0.057 -0.881 0.268 0.170 0.175
S 1.599 0.862 1.671 -0.233 -0.006 0.059
H -0.404 1.698 -2.894 -0.011 0.012 0.105
H -0.831 -5.982 0.240 0.007 0.003 0.001
C -0.948 -0.853 2.628 0.032 0.103 0.032
C 3.523 -1.275 0.112 0.025 0.014 -0.094
C 0.177 -2.977 0.116 0.015 0.082 -0.050
H 0.566 2.298 -4.240 -0.010 0.001 0.003
H -0.773 -0.884 -2.665 -0.027 -0.063 -0.071
F -2.220 3.412 2.447 -0.027 -0.040 -0.047
O 1.204 -1.965 2.030 -0.069 0.007 0.138
C 0.211 -1.782 3.002 -0.054 -0.035 -0.013
H 2.132 -3.342 0.902 -0.071 -0.045 0.025
N -3.076 1.790 0.354 -0.146 0.044 0.019
H 4.631 -0.760 -5.409 0.005 -0.018 -0.012
C 2.131 -0.090 -2.510 -0.074 -0.206 0.055
F -3.671 4.996 2.218 -0.056 -0.084 -0.016
O -5.254 3.084 0.236 -0.008 0.062 0.036
H 0.836 -3.990 1.929 -0.024 0.015 -0.004
H 3.741 -2.277 -0.269 0.038 -0.013 -0.039
C -0.200 1.576 -3.952 -0.041 0.006 0.021
H 3.964 -1.180 1.105 0.001 0.003 0.025
Cl 2.663 2.431 4.225 -0.004 -0.003 -0.013
C 0.341 4.693 1.092 0.056 -0.035 0.072
Cr 0.181 0.177 -0.066 -0.057 0.033 -0.143
C -0.725 -0.903 -3.751 -0.032 -0.026 0.026
F -4.299 3.049 2.929 0.009 -0.061 0.025
H -0.240 5.209 0.341 -0.023 0.013 -0.026
*/
Moot said when people saw plant residue, it was crop stubble or some root biomass in the soil. Most plant residues broke down, the part which was easily degradable and broke down quickly, was called litter. These were the leaves and roots from a crop harvest and some stem. Often farmers either burnt it or turned it over. The soil biological activity would be such that the bacteria in the soil broke it down. Decomposition from microbial biomass occurred rapidly and converted some of the easily degradable carbon tied up in the litter into carbon dioxide.
He said the intermediate and the resistant faction remained in the soil over time. The microbial biomass did not change very much but it worked more and more on the plant residues and converted them from plant residue into CO2. The process of respiration from the soil microbial biomass was actually the same – it broke down the sugars that were in those plant parts. It took weeks or months to break that down, and convert those plant residues back into atmospheric CO2. This process was ongoing and there was only a small resistant faction that took longer and longer.
“The microbial biomass here is not really changing, but it was taking longer, and eventually converting some of the plant residues into carbon dioxide.”
When it was no longer possible to identify what the plant was, and there was a gooey stabilised mass, this was called humus. This was a natural process which took longer to occur and was more resistant to the breakdown of the bacterial mass. This was a by-product of that microbial activity which got more humus into the soil. It eventually decomposed and the soil humus ended up back in the atmosphere.
“What we are really dealing with here is the time frame by which we get our plant residuals back into the atmosphere.”
The only carbon from the organic matter that remained in the soil was the carbon particles which were stuck to the soil particles. That was soil carbon. This process happened under pastures. All sites that could be occupied by soil carbon became occupied over decades of time and created a build-up of soil carbon.
If that paddock was ploughed and put into an arable cropping system, where it might be ploughed every year, then there was a breakdown of that soil carbon which was stuck very tightly to the mineral particles of the soil.
“That is really where the idea of being able to capture carbon has come from.”
He gave the example, if a farmer had been cropping in the Midwest of the United States for almost a century, a lot of the soil carbon had been broken down or removed, as well as, the easily degradable and plant residue component of the plant material that had been put into the soil system. Eventually all of that ended up back in the atmosphere.
From a New Zealand perspective, storing soil carbon would be a short-term gain. This was because most data suggested NZ had a saturation of soils for carbon.
Moot said the result of that breakdown or returning to residuals was thatch. Thatch occurred on a lot of pastures and this was not soil carbon. It was organic matter.
“At this stage it’s got a carbon tonitrogen ratio of about 40:1.”
A lot of NZ’s grazed pastures had thatch on the top of them. This thatch tied up nitrogen and stopped biological activity. To get nutrient cycling in these systems farmers often applied nitrogen fertiliser or put in a rye corn or barley crop, and grazed that crop over a year or two. The urine returns went back in and allowed nitrogen cycling to occur. This ratio of carbon to nitrogen needed to be about 20:1 for the breakdown of that organic matter and the release of nutrients.
NZ soils had a lot of organic matter and the ability to have a lot of nutrient cycling because they were predominantly pastoral-based.
“Carbon storage is generally saturated in many NZ soils, carbon storage rate is low and temporary, particularly for cropping systems.”
Soil organic matter only increased yield of crops if there was a nutrient limitation. The idea of getting more soil organic matter into a soil to increase yields would only occur if the nutrient limiting the system was put in.
“Nutrients do not up-well. We do not bring nutrients from a long way below ground if they are not available.”
Nutrients generally occurred in the area where there was a lot of soil biological activity. Roots from trees that went a long way down into the ground would put some carbon into an area where there had not been any carbon before.
This was the idea many regenerative agriculture practitioners talked about of having deep tap-rooted species that put carbon deep into the soil beyond where grasses grow. Deep-rooted lucerne could have its roots down six metres whereas a grass grown in the same soil might only have roots down to about a metre.
“But in neither case do we actually get any upwelling of nutrients.”
Moot said if we wanted to have a system based on nitrogen fixation then we needed to ensure other nutrients were not limiting.